Ash Wednesday is a day of reckoning for us. We take a deep breath and a long hard HONEST look inside. It’s a day in which we recognize our brokenness and admit our great need for help, for a savior.
Now, to be clear, it is NOT the job of any man to reveal this to another. It is the work of God. And it is only through the work of the Holy Spirit that we know this reality. I am writing this to you to state my brokenness, acknowledge my need for a savior, and share what I’ve discovered in my life. It is not to point out anything in your life specifically; that’s up to God.
Some people have made it their duty to emphasize this taken it upon themselves to help God out when they were never asked! God can certainly use people to bring things to our attention, but the convicting work is all God’s.
I feel like a Michael Jackson song is appropriate here. “I’m starting with the man in the mirror…asking him to change his ways…If you wanna make the world a better place, take a look at yourself, and make a change.” (Man in the Mirror)
When the Holy Spirit holds us up and looks upon us, we are able to see a reflection of ALL the things we ARE and ALL the things we ARE NOT but are created to be.
I have often heard of counterfeit money inspectors and the nature of their training is NOT to study and learn ALL the various types of counterfeits. They simply study the REAL bills.
Psalm 51 is a song of a man who knew what the real thing looked like, and is looking at his own reflection staring at what appears to be a cheap imitation, a poorly designed knockoff, a two-bit counterfeit. He says,
“I recognize my rebellion; it haunts me day and night. Against you I have sinned; I have done what is evil in your sight.” (v3-4)
And so, there is total transparency here, David is said to have written this in response to the time a prophet visited him after David had committed adultery with another man’s wife, gotten her pregnant, deceitfully tried to cover it up, and then had her husband killed when his plan failed!
Between two parts of the page: data records:
-- begin --
Arrangement 1

Below is a molecular structure, C40H48ClCsN6O5S, with properties calculated with the ωB97M-V functional and the def2-TZVPD basis.

Properties
Charge: -2
M, g mol⁻¹: 893.3
Orbital gap, eV: 5.177
HOMO, eV: -1.7

Cartesian coordinates (Å):
Cs 0.513 -0.550 0.846
N 4.682 -0.884 -0.983
C 3.661 -1.938 -1.149
C 2.810 -2.201 0.122
O 3.333 -1.771 1.211
N 1.671 -2.824 0.074
C 0.984 -3.123 -1.160
C -0.468 -2.553 -1.218
O -0.960 -2.448 -2.383
O -1.032 -2.245 -0.121
H 5.023 -1.010 -0.035
H 4.173 -0.014 -0.894
H 4.164 -2.882 -1.377
H 3.046 -1.672 -2.009
H 0.863 -4.210 -1.275
H 1.465 -2.780 -2.082
N -2.494 -0.058 1.503
C -3.578 0.746 1.826
C -4.445 0.407 2.873
C -5.508 1.234 3.219
C -5.744 2.414 2.518
C -4.891 2.742 1.466
C -3.810 1.944 1.111
C -2.941 2.269 -0.077
C -3.537 2.322 -1.347
C -2.765 2.497 -2.489
C -1.380 2.600 -2.367
C -0.795 2.566 -1.104
C -1.551 2.419 0.058
H -2.536 -1.033 1.744
H -2.052 0.097 0.610
H -4.265 -0.514 3.422
H -6.155 0.952 4.039
H -6.572 3.066 2.785
H -5.053 3.659 0.906
H -4.610 2.180 -1.435
H -3.232 2.502 -3.467
H -0.766 2.684 -3.258
H 0.291 2.649 -1.011
C 1.247 3.823 7.948
C 0.816 3.541 6.520
C 1.608 2.791 5.652
C 1.194 2.516 4.337
C -0.021 2.995 3.845
C -0.810 3.734 4.726
C -0.406 4.013 6.033
S -0.791 2.617 1.986
C -0.425 4.341 1.520
O 0.389 1.701 1.647
H 2.317 3.638 8.078
H 0.715 3.191 8.670
H 1.050 4.865 8.226
H 2.564 2.405 6.011
H 1.824 1.924 3.674
H -1.788 4.096 4.379
H -1.050 4.598 6.693
H 0.485 4.265 0.904
H -0.231 4.954 2.400
H -1.244 4.748 0.918
C 5.370 3.549 -5.728
C 5.675 2.040 -5.755
C 5.466 1.529 -7.184
C 7.162 1.901 -5.391
C 4.741 1.274 -4.755
O 5.230 1.553 -3.434
C 4.655 -0.239 -4.965
C 5.954 -1.047 -4.787
C 5.669 -2.520 -4.608
C 5.618 -3.380 -5.702
C 5.312 -4.724 -5.546
C 5.048 -5.209 -4.280
Cl 4.671 -6.907 -4.078
C 5.078 -4.376 -3.174
C 5.395 -3.037 -3.346
C 3.329 1.882 -4.858
N 2.332 1.199 -4.058
C 2.230 1.197 -2.723
N 1.327 0.330 -2.332
C 0.822 -0.152 -3.514
N 1.425 0.333 -4.597
H 6.130 4.078 -6.316
H 5.402 3.941 -4.703
H 4.394 3.790 -6.163
H 6.027 2.164 -7.880
H 4.410 1.558 -7.487
H 5.824 0.500 -7.306
H 7.747 2.536 -6.068
H 7.532 0.882 -5.494
H 7.347 2.224 -4.366
H 4.905 0.889 -2.801
H 4.204 -0.454 -5.939
H 3.934 -0.613 -4.232
H 6.488 -0.676 -3.911
H 6.612 -0.922 -5.648
H 5.819 -2.993 -6.700
H 5.274 -5.392 -6.399
H 4.839 -4.765 -2.190
H 5.408 -2.373 -2.478
H 2.965 1.881 -5.881
H 3.389 2.903 -4.503
H 2.856 1.816 -2.085
H 0.049 -0.930 -3.534
-- stop --
This is textbook Ash Wednesday stuff. (For another even darker self-evaluation writing, see Psalm 22. Here the man is wrecked!!!)
It is in this owning of our own reality that we can find hope for something new. The nature of Psalm 51 is restorative! David comes to terms with his shortcoming yet holds to the hope of something more, the truth of something better – a guiltless and joy-filled.
As we kick off this Lenten season and travel the road to resurrection, may we come face to face with our own filth and find that in claiming it, we have access to overcoming it. As the Holy Spirit brings conviction, may we find restoration!